field name | data type | description |
tc_Status | character | |
tiAdditionNumber | integer | AdditionNumber |
tcBankAccountExtension | character | |
tcBankAccountNumber | character | |
tiBankNumber_ID | integer | |
tcBusinessRelationCode | character | Business Relation Code |
tiCInvoiceID | integer | CInvoice |
tcCreditorCode | character | CreditorCode |
tcDiscountAmntDebitCreditAbbr | character | |
ttDiscountDueDate | date | DiscountDueDate |
Materials data that have nothing to do with the article.
........
1.
Computed powder diffraction line list of Ba3SrHg4O8 for Cu Ka, from a structure optimized by DFT (PBE).
Intensities are scaled so that the largest is 100.

Largest 10 diffraction maxima, low angle first, 2θ from 10° to 90°:
two_theta  Rel. int.
16.5  28
25.8  42
28.1  39
29.6  93
30.9  100
36.9  25
47.0  46
48.1  27
53.4  28
61.4  34

Atomic structure:
a = 6.8668 Å, b = 6.8668 Å, c = 25.4153 Å
α = 90.00°, β = 90.00°, γ = 120.00°
Atoms (fractional coordinates):
1 Ba 0.0000 0.0000 0.0000
2 Ba 0.3333 0.6667 0.0159
3 Ba 0.3333 0.6667 0.2345
4 Ba 0.3333 0.6667 0.5158
5 Ba 0.3333 0.6667 0.7329
6 Ba 0.6667 0.3333 0.2671
7 Ba 0.6667 0.3333 0.4842
8 Ba 0.6667 0.3333 0.7655
9 Ba 0.6667 0.3333 0.9841
10 Sr 0.0000 0.0000 0.2507
11 Sr 0.0000 0.0000 0.5000
12 Sr 0.0000 0.0000 0.7493
13 Hg 0.1641 0.8204 0.8734
14 Hg 0.1698 0.3396 0.3752
15 Hg 0.1698 0.8302 0.3752
16 Hg 0.1796 0.3438 0.8734
17 Hg 0.3396 0.1698 0.6248
18 Hg 0.3438 0.1796 0.1266
19 Hg 0.6562 0.8359 0.8734
20 Hg 0.6604 0.8302 0.3752
21 Hg 0.8204 0.1641 0.1266
22 Hg 0.8302 0.1698 0.6248
23 Hg 0.8302 0.6604 0.6248
24 Hg 0.8359 0.6562 0.1266
25 O 0.0352 0.6856 0.9445
26 O 0.0434 0.3364 0.3033
27 O 0.0428 0.7070 0.4471
28 O 0.0447 0.3358 0.8024
29 O 0.2911 0.9553 0.8024
30 O 0.2930 0.3358 0.4471
31 O 0.2931 0.9566 0.3033
32 O 0.3144 0.3496 0.9445
33 O 0.3364 0.0434 0.6967
34 O 0.3358 0.0447 0.1976
35 O 0.3358 0.2930 0.5529
36 O 0.3496 0.3144 0.0555
37 O 0.6504 0.9648 0.9445
38 O 0.6636 0.7069 0.3033
39 O 0.6642 0.7089 0.8024
40 O 0.6642 0.9572 0.4471
41 O 0.6856 0.0352 0.0555
42 O 0.7070 0.0428 0.5529
43 O 0.7069 0.6636 0.6967
44 O 0.7089 0.6642 0.1976
45 O 0.9553 0.2911 0.1976
46 O 0.9566 0.2931 0.6967
47 O 0.9572 0.6642 0.5529
48 O 0.9648 0.6504 0.0555

---

2.
Computed powder diffraction line list of Ba2TbHgO4 for Cu Ka, from a structure optimized by DFT (PBE).
Intensities are scaled so that the largest is 100.

Largest 10 diffraction maxima, low angle first, 2θ from 10° to 90°:
two_theta  Rel. int.
26.8  100
30.7  14
31.2  27
44.4  30
44.7  15
52.3  16
52.9  30
55.2  12
71.2  13
82.2  9

Atomic structure:
a = 7.0935 Å, b = 7.0935 Å, c = 7.0935 Å
α = 132.36°, β = 132.36°, γ = 69.66°
Atoms (fractional coordinates):
1 Ba 0.0000 0.0000 0.0000
2 Ba 0.7500 0.2500 0.5000
3 Tb 0.5000 0.5000 0.0000
4 Hg 0.2500 0.7500 0.5000
5 O 0.1649 0.6040 0.9849
6 O 0.3960 0.3809 0.5609
7 O 0.6191 0.1801 0.0151
8 O 0.8199 0.8351 0.4391

---

3.
Computed powder diffraction line list of Ba2TlHg2O6 for Cu Ka, from a structure optimized by DFT (PBE).
Intensities are scaled so that the largest is 100.

Largest 10 diffraction maxima, low angle first, 2θ from 10° to 90°:
two_theta  Rel. int.
18.7  13
27.5  100
29.6  75
40.9  35
48.7  21
50.0  40
53.8  12
56.9  17
65.4  17
78.1  11

Atomic structure:
a = 7.0420 Å, b = 7.0420 Å, c = 7.0420 Å
α = 54.76°, β = 54.76°, γ = 54.76°
Atoms (fractional coordinates):
1 Ba 0.2080 0.2080 0.2080
2 Ba 0.7920 0.7920 0.7920
3 Tl 0.0000 0.0000 0.0000
4 Hg 0.4136 0.4136 0.4136
........
Here the article continues.
tdDiscountPercentage | decimal(3) | DiscountPercentage |
tdDiscountTC | decimal(4) | DiscountTC |
tcDivisionCode | character | |
ttDueDate | date | |
=====
Computed powder diffraction line list of V16Bi3O32 for Cu Kα (λ = 1.5418 Å), from a DFT-relaxed cell (GGA+U, the Materials Project).

Crystal structure
Cell lengths 7.1927, 8.4802, 10.4493 Å; angles 99.45, 99.23, 96.46 degrees
Fractional positions:
1 V 0.0000 0.0000 0.0000
2 V 0.9996 0.2509 0.2497
3 V 0.2881 0.6222 0.2796
4 V 0.2899 0.8663 0.5320
5 V 0.2925 0.1182 0.7891
6 V 0.2919 0.3703 0.0321
7 V 0.6636 0.7661 0.4718
8 V 0.6664 0.5199 0.2240
9 V 0.6670 0.2723 0.9750
10 V 0.6680 0.0210 0.7210
11 V 0.9534 0.1391 0.5107
12 V 0.9548 0.8925 0.2583
13 V 0.9589 0.6401 0.0059
14 V 0.9603 0.3920 0.7562
15 V 0.9959 0.5008 0.5006
16 V 0.9991 0.7502 0.7529
17 Bi 0.4634 0.3158 0.5197
18 Bi 0.4704 0.0679 0.2487
19 Bi 0.4945 0.8087 0.9743
20 O 0.0929 0.2142 0.6894
21 O 0.1049 0.7163 0.1922
22 O 0.1047 0.9692 0.4478
23 O 0.1082 0.4588 0.9399
24 O 0.1156 0.5456 0.6914
25 O 0.1332 0.2985 0.4469
26 O 0.1392 0.0541 0.1959
27 O 0.1406 0.8045 0.9425
28 O 0.1812 0.8812 0.6948
29 O 0.1830 0.6489 0.4448
30 O 0.1903 0.1479 0.9528
31 O 0.1904 0.3996 0.1991
32 O 0.4311 0.1048 0.6263
33 O 0.4331 0.8488 0.3741
34 O 0.4386 0.5944 0.1283
35 O 0.4444 0.3370 0.8895
36 O 0.5161 0.5497 0.3775
37 O 0.5164 0.8087 0.6192
38 O 0.5220 0.2936 0.1339
39 O 0.5263 0.0341 0.8836
40 O 0.7658 0.7428 0.3084
41 O 0.7720 0.4924 0.0618
42 O 0.7737 0.9952 0.5485
43 O 0.7759 0.2511 0.8095
44 O 0.8138 0.8372 0.0602
45 O 0.8176 0.3314 0.5633
46 O 0.8248 0.0876 0.3159
47 O 0.8404 0.5905 0.8142
48 O 0.8455 0.6817 0.5664
49 O 0.8501 0.4297 0.3161
50 O 0.8532 0.1796 0.0659
51 O 0.8630 0.9222 0.8130

Peak list (10 most intense, 10° ≤ 2θ ≤ 90°, in order of falling intensity)
two_theta, I_rel
35.42, 100
28.27, 66
28.41, 61
28.13, 57
30.35, 52
35.30, 36
55.01, 35
25.12, 28
25.35, 25
58.07, 19

----------

1.
For Ag2S, a crystal structure in the Materials Project, relaxed with PBE gives the simulated X-ray diffraction stick pattern in this record (Cu Kα, 1.54184 Å).
Neutral-atom scattering factors, no anomalous dispersion.

Principal peaks in the range 2θ = 10–80°, in order of falling intensity:
two_theta	I (rel.)
34.6	100
28.3	60
44.5	44
36.9	40
47.1	28
46.1	23
74.9	18
65.0	15
59.6	13
25.8	13
71.8	10
73.0	10

Crystal structure
Cell lengths 4.316, 4.316, 6.778 Å; angles 90.00, 90.00, 111.29 degrees
Sites, in units of the cell vectors:
Ag (0.158, 0.842, 0.864)
Ag (0.342, 0.658, 0.364)
Ag (0.658, 0.342, 0.636)
Ag (0.842, 0.158, 0.136)
S (0.000, 0.000, 0.500)
S (0.500, 0.500, 0.000)


2.
For Ba3GeO5, a crystal structure in the Materials Project, relaxed with PBE gives the simulated X-ray diffraction stick pattern in this record (Cu Kα, 1.54184 Å).
Neutral-atom scattering factors, no anomalous dispersion.

Principal peaks in the range 2θ = 10–80°, in order of falling intensity:
two_theta	I (rel.)
28.2	100
35.2	38
27.7	32
30.3	28
33.9	27
46.1	23
52.5	19
50.9	16
38.0	13
55.8	12
47.1	9
64.8	8

Crystal structure
Cell lengths 7.487, 7.487, 11.812 Å; angles 90.00, 90.00, 90.00 degrees
=====
tcExternalNumber | character | ExternalNumber |
tcInternalNumber | character | InternalNumber |
tcInvoiceCurrencyCode | character | InvoiceCurrencyCode |
ttInvoiceDate | date | InvoiceDate |
tdInvoiceRate | decimal | |
tdInvoiceRateScale | decimal(10) | Invoice Rate Scale |
tiInvoiceSeq | integer | |
tlIsMultiple | logical | Flag which says if the line is one of multiple lines related to one invoice. |
tiMaster_ID | integer | |
tiNumDecTC | integer | |
tiObject_ID | integer | Object ID |
tcObjectType | character | Object Type |
tcOpenInvAmntDebitCreditAbbr | character | |
tdOpenInvoiceAmountTC | decimal(4) | OpenInvoiceAmountTC |
tdOpenPaymentInvoiceAmountTC | decimal | |
tdOpenAmountTCSigned | decimal | |
tdOriginalInvoiceAmountNetTC | decimal | |
tdOriginalInvoiceAmountTC | decimal(4) | OriginalInvoiceAmountTC |
tcOriginInvAmntDebitCreditAbbr | character | |
tcOriginInvAmntSign | character | |
tcPaymentAmntBCDebitCreditAbbr | character | |
tcPaymentAmntDebitCreditAbbr | character | |
tdPaymentAmountBC | decimal(4) | PaymentAmountBC |
tdPaymentAmountSignBC | decimal(10) | |
tdPaymentAmountTC | decimal(4) | PaymentAmountTC |
tdPaymentSignedAmtTC | decimal(4) | TC Payment Signed Amount.Positive for DR payments, negative for CR payment. As a result the user can set the Sum function on this new column and get the correct total paid |
tdPaymentAmountBank | decimal | Payment Amount in Bank's Currency |
tiProposedLine_ID | integer | ProposedLine_ID |
tlProposedLineCanBeSelected | logical | ProposedLineCanBeSelected |
tlProposedLineIsSelected | logical | ProposedLineIsSelected |
tdTotalAmountTC | decimal(4) | TotalAmountTC |
tcTSM | character | TSM |
tcValidationMask | character | |
tcVatCountryCode | character | |
tdHoldAmountTC | decimal | |
tcCorporateGroupCode | character | Group Name |
tcBusinessRelationName1 | character | |
tcInvoiceCompanyCode | character | |
tdNonDiscAmtTC | decimal | Non Discount Amount |
tdCInvoiceVatTC | decimal | Vat TC |
tlCInvoiceIsDiscTaxAtPaym | logical | Discount Tax At Payment |
tdOriginalPaymentAmountTC | decimal | |
tdOriginalPaymentAmountBC | decimal | |
tdWHTAmtTC | decimal(4) | WHT Amount TC |
tdWHTTaxableFeeTC | decimal(4) | WHT Taxable Fee TC |
tdWHTTCLCExchangeRate | decimal(10) | WHT Exchange Rate |
tdWHTTCLCRateScale | decimal(10) | WHT Rate Scale |
tdWHTTCCCExchangeRate | decimal(10) | SC Exchange Rate |
tdWHTTCCCRateScale | decimal(10) | SC Rate Scale |
tdTotWHTAmtTC | decimal(4) | Total WHT TC |
tdTotWHTAmtLC | decimal(4) | Total WHT LC |
tdCInvoiceTotWHTBaseTC | decimal(4) | Total WHT Base TC |
tdWHTPerc | decimal(2) | WHT % |
tlUpdateTax | logical | Update Tax |
tlCreditorIsWHT | logical | |
tdWHTAmtLC | decimal | |
tdWHTAmtCC | decimal | |
tdCInvoiceWHTAmtTC | decimal | |
tdCInvoiceOriginalTC | decimal | |
tdCInvoiceTotWHTTC | decimal(4) | Tot SI WHT TC |
tdAllocatedAmount | decimal | |
tdCInvoiceWHTUnpaidAmtTC | decimal | |
tdCInvoiceVatBaseTC | decimal | |
tdWHTWHTAmtTC | decimal | withholding tax amount of withholding tax table |
tcWHTAmntDebitCreditAbbr | character | |
tdInitiallyAllocatedWHTAmntTC | decimal(4) | Withholding tax amount in TC that is allocated but not yet paid in withholding tax |
tdInterestTC | decimal | |
tlConfirmed | logical | |
tdCInvoiceBankToPayTC | decimal | cinvoicebanktopaytc |
tdCInvoiceDiscountTC | decimal | total discount of the invoice |
tiInvoiceCompany_ID | integer | |